The popular wrath against the barbaric austerity imposed on Greece by the EU, the European Central Bank and the IMF has exploded in the early parliamentary elections of May 6th leading into a crushing and humiliating defeat both the ruling bourgeois parties, the right wing New Democracy (ND) and the “socialist” PASOK, as well as all the neo-liberal servers of the troika’s Memorandum. The two parties that ruled the countries for decades after the fall of the military dictatorship in 1974, ND and PASOK, have fallen into a pathetic minority, combining together less than a third of the votes. For the first time after more than a half century, a party of the Left, the reformist SYRIZA with his radical anti-Memorandum rhetoric and movementist look, has been catapulted in the second rank, nationally, becoming the Official Opposition in the country and the biggest party in Athens, the capital region, Thessalonica, and the main cities in the provinces. There is an obvious left wing turn of the majority of the people.
Unfortunately, social misery, polarization of inequalities, and national humiliation-not to mention the political blindness and electoralist complaisance of the reformist, Stalinist, and centrist Left- became also a fertile field for far right nationalist demagogy leading to a spectacular growth not just of the far right “Independent Greeks”( a split from the ND) but above all of the openly neo-Nazi party of the “Golden Dawn”, which jumped from a few thousands votes in 2009 into nearly a half a million in 2012, entering for the first time in Parliament.
Someone pasted crystal structures at this point:
'''
Entry 1:
The following is a GGA-PBEsol calculation of a geometry-optimized BaCaCrF7 structure, from the Alexandria database.

Output
The total energy comes out at -249.7 eV for the cell shown. Its volume is 552.35 Å³ per cell. For the uncorrected formation energy, the calculation gives -332.1 kJ per mole of atoms.

The structure in CIF format:
```
data_BaCaCrF7
_chemical_formula_sum 'Ba4 Ca4 Cr4 F28'
_cell_length_a 5.387
_cell_length_b 5.411
_cell_length_c 19.517
_cell_angle_alpha 90.00
_cell_angle_beta 103.88
_cell_angle_gamma 90.00
_space_group_name_H-M_alt 'P 1 2/c 1'
_space_group_IT_number 13
_space_group_name_Hall '-P 2yc'
loop_
_atom_site_label
_atom_site_fract_x
_atom_site_fract_y
_atom_site_fract_z
Ba1 0.181 0.241 0.432
Ca1 0.000 0.326 0.750
Ca2 0.500 0.206 0.250
Cr1 0.315 0.223 0.619
F1 0.006 0.285 0.944
F2 0.148 0.023 0.677
F3 0.235 0.370 0.309
F4 0.249 0.498 0.674
F5 0.342 0.056 0.063
F6 0.373 0.130 0.816
F7 0.468 0.409 0.560
```

=====

Entry 2:
The following is a GGA-PBEsol calculation of a geometry-optimized Ba2NaCaCr structure, from the Alexandria database.

Output
The calculation puts the calculated formation energy at 0.64 eV per atom. The total energy comes out at -14.9 eV for the cell shown. Its volume is 234.56 Å³ per cell.

The structure in CIF format:
```
data_Ba2NaCaCr
_chemical_formula_sum 'Ba2 Na1 Ca1 Cr1'
_cell_length_a 6.341
_cell_length_b 6.341
_cell_length_c 5.834
_cell_angle_alpha 90.00
_cell_angle_beta 90.00
_cell_angle_gamma 90.00
_space_group_name_H-M_alt 'P 4/m m m'
_space_group_IT_number 123
_space_group_name_Hall '-P 4 2'
loop_
_atom_site_label
_atom_site_fract_x
_atom_site_fract_y
_atom_site_fract_z
Ba1 0.000 0.500 0.000
Na1 0.000 0.000 0.500
Ca1 0.500 0.500 0.500
Cr1 0.000 0.000 0.000
```

=====

Entry 3:
The following is a GGA-PBEsol calculation of a geometry-optimized BaCaNbCr2 structure, from the Alexandria database.

Output
The calculation puts the calculated formation energy at 2.30 eV per atom. The total energy comes out at -24.1 eV for the cell shown. Its volume is 133.29 Å³ per cell.

The structure in CIF format:
```
data_BaCaNbCr2
_chemical_formula_sum 'Ba1 Ca1 Nb1 Cr2'
_cell_length_a 4.941
_cell_length_b 4.941
_cell_length_c 5.460
_cell_angle_alpha 90.00
_cell_angle_beta 90.00
_cell_angle_gamma 90.00
_space_group_name_H-M_alt 'P 4/m m m'
_space_group_IT_number 123
_space_group_name_Hall '-P 4 2'
loop_
_atom_site_label
_atom_site_fract_x
_atom_site_fract_y
_atom_site_fract_z
Ba1 0.000 0.000 0.000
Ca1 0.000 0.000 0.500
Nb1 0.500 0.500 0.000
Cr1 0.000 0.500 0.500
```

=====

Entry 4:
The following is a GGA-PBEsol calculation of a geometry-optimized BaCaCrO2 structure, from the Alexandria database.

Output
The total energy comes out at -23.4 eV for the cell shown. Its volume is 149.47 Å³ per cell. For the uncorrected formation energy, the calculation gives 32.0 kJ per mole of atoms.

The structure in CIF format:
```
data_BaCaCrO2
_chemical_formula_sum 'Ba1 Ca1 Cr1 O2'
_cell_length_a 4.546
'''
In general, apart from the electoral triumph of SYRIZA, there was a relative increase of the vote for most of the parties of the Left. The Stalinist KKE, although winning a few thousands more votes, lost its hegemonic primacy among the parties of the Left, and it has fallen from the third rank that traditionally it occupied among all the parliamentary parties to the fifth rank. The biggest losses for the KKE were in the proletarian areas in the Athens region and in Thessalonica.
First, the Stalinists paid the price for their crude sectarianism and vulgar hostility against every other left wing force and against every social movement and popular rebellion that they cannot put under their bureaucratic control (for ex. they have denounced the December 2008 revolt as a…CIA conspiracy; they played the role of the police guarding the parliament from the popular anger in the October 2011 General Strike; they separated their forces from the major rally of a million people protesting against the second Memorandum in Syntagma Square in Athens, on February 12, 2012 etc.)
But there is another, very important reason for their defeat in relation to SYRIZA. In defaulted Greece, the regime crisis has put on the agenda urgently the question of power. The KKE advanced vaguely the slogan for a “workers’ popular power” and “socialization of the monopolies” but as a remote possibility in the far away future, “because, now, the objective conditions and relationship of forces are not yet mature”, as the Stalinists claim. On the contrary, SYRIZA has raised the immediate need for “a government of the Left” (although without a revolutionary overthrow of the bourgeois regime and State). The slogan for “a left government” had received a great popular response, despite its vagueness and covering up of the class nature of the State power (Tsipras, the young leader of SYRIZA, even mentioned as an example to follow the tragic precedent of the Allende government in Chile, defending also the Popular Front line of the Komintern in the 1930s). Nevertheless, as previously with the demand for a direct democracy regime during the occupying the squares movement in 2011, the popular response to the prospect of a government of the Left does not reflect only a dangerous illusion but also the ripening of the subjective conditions in the mass social consciousness for an alternative power of those from below against those ruling from above. It is a contradictory, distorted reflection of the immediate need for a struggle for working class power.
The Trotskyist EEK, while criticizing sharply the popular front line in the “left government” slogan and pointing out the dangers, precisely from the tragic precedents in Spain, Chile and Greece, insisted on the urgent need for a revolutionary socialist way out from the capitalist crisis, with the overthrow of the capitalist regime and the establishment of a revolutionary workers government and workers power, as a step towards a United Socialist States of Europe to be build on the ruins of the imperialist EU. Our Party increased modestly its vote in every electoral district all over the country, particularly in the proletarian areas of the capital and of the main cities; but more importantly it developed further its political influence and organization among advanced workers and youth.
The Maoists of the KKE ml and of the ML-KKE, although they joined this time after decades their forces in a common bloc, they received less votes than the sum of the votes of both parties in previous elections. The moderation of their political program, restricted just to a defense against the austerity attacks and in defense of national independence, failed to arise much of response in a social milieu very radicalized the last two years.
ANTARSYA, the “broad anti-capitalist Front” of ten centrist organizations, increased its vote in relation to the previous 2009 parliamentary elections but retreated nationally in relation to the 2010 regional elections, falling from above 2 per cent to just above 1 per cent. As the leaders of ANTARSYA have cultivated the most wild illusions about their “certain entry into parliament with eight anti-capitalist deputies”, campaigning against their competitors in the far left, presenting as “a lost vote” any vote to the EEK, following the worst traditions of electoralism, now they are deeply disappointed from the results, plunging again in crisis. Some of the organizations of this anti-capitalist Front are already looking towards SYRIZA, while others, particularly in NAR (New Left Current) speak about their “deficit in strategy and program” as the reason of the defeat of their electoral expectations. This “deficit” was already pointed out by the EEK: ANTARSYA and NAR call for the overthrow of the bourgeois government but they find “immature” the conditions to advance a call for workers power; it calls (as the EEK does) for an withdraw from the EU and the euro but it returns to national isolation by rejecting the alternative advanced by the EEK for a revolutionary struggle for the socialist unification of Europe. More than 20 years after their split from the KKE, the NAR remains prisoner of the Stalinist legacy, particularly in relation to the Popular Front and the nationalist outlook.
It is noteworthy that most of the central strategic problems that counter-posed Trotskyism and Stalinism in the 20th century- permanent revolution versus socialism in a single country, united workers front versus popular front of class collaboration, the struggle against fascism, the decline of bourgeois democracy and the dictatorship of the proletariat, the need for a revolutionary International, the question of the State, the dangers from bureaucracy etc.- have found now urgent actuality in Greece and they are discussed among the most militant sectors.
As it becomes extremely difficult even the formation of a coalition government in Greece now, and eventually new elections very soon could not solve the problem of power, the political crisis is escalating in the country and all over Europe. The questions of revolutionary strategy and tactics, of a program for the systematic mobilization of the masses in preparation for the seizure of power by the working class supported by the pauperized masses, of organization of the revolutionary vanguard are more urgent than ever.
Savas Michael-Matsas
May 8, 2012